- - -
# GGA-PBE Na3AcCu4Cl12, optimized geometry
# Volume in A^3/atom: 29.27
# Fermi-level density of states in states/eV per cell: 27.9
# Raw formation energy in meV/atom: -1196.4
# Spin magnetization in μB/f.u.: 2.10
data_Na3AcCu4Cl12
_symmetry_space_group_name_H-M 'R 3 2'
_symmetry_Int_Tables_number 155
_symmetry_space_group_name_Hall 'R 3 2"'
_cell_length_a 13.6287
_cell_length_b 13.6287
_cell_length_c 10.9167
_cell_angle_alpha 90.00
_cell_angle_beta 90.00
_cell_angle_gamma 120.00
loop_
_atom_site_label
_atom_site_fract_x
_atom_site_fract_y
_atom_site_fract_z
Na1 0.0000 0.5620 0.0000
Ac1 0.0000 0.0000 0.0000
Cu1 0.0000 0.0000 0.5000
Cu2 0.0000 0.4381 0.5000
Cl1 0.0000 0.5997 0.5000
Cl2 0.0000 0.8405 0.5000
Cl3 0.0350 0.1892 0.1632

# GGA-PBE Tb2EuFe, optimized geometry
# Volume in A^3/atom: 27.67
# Fermi-level density of states in states/eV per cell: 5.6
# Spin magnetization in μB/f.u.: 8.90
# Energy relative to the elements in meV per atom: 89
data_Tb2EuFe
_symmetry_space_group_name_H-M 'P 4/m m m'
_symmetry_Int_Tables_number 123
_symmetry_space_group_name_Hall '-P 4 2'
_cell_length_a 3.4665
_cell_length_b 3.4665
_cell_length_c 9.2110
_cell_angle_alpha 90.00
_cell_angle_beta 90.00
_cell_angle_gamma 90.00
loop_
_atom_site_label
_atom_site_fract_x
_atom_site_fract_y
_atom_site_fract_z
Tb1 0.0000 0.0000 0.1750
Eu1 0.5000 0.5000 0.5000
Fe1 0.5000 0.5000 0.0000

# GGA-PBE TlRhCl4, optimized geometry
# Volume in A^3/atom: 35.04
# Fermi-level density of states in states/eV per cell: 7.7
# Raw formation energy in meV/atom: -522.2
# Spin magnetization in μB/f.u.: 2.00
data_TlRhCl4
_symmetry_space_group_name_H-M 'I -4'
_symmetry_Int_Tables_number 82
_symmetry_space_group_name_Hall 'I -4'
_cell_length_a 7.5075
_cell_length_b 7.5075
_cell_length_c 7.4606
_cell_angle_alpha 90.00
_cell_angle_beta 90.00
_cell_angle_gamma 90.00
loop_
_atom_site_label
_atom_site_fract_x
_atom_site_fract_y
_atom_site_fract_z
Tl1 0.0000 0.0000 0.0000
Rh1 0.0000 0.5000 0.2500
Cl1 0.1890 0.2660 0.2939

# GGA-PBE SrAl4Pd6, optimized geometry
# Volume in A^3/atom: 16.97
# Fermi-level density of states in states/eV per cell: 2.8
# Spin magnetization in μB/f.u.: 0.00
# Energy relative to the elements in meV per atom: -821
data_SrAl4Pd6
_symmetry_space_group_name_H-M 'P -6 m 2'
_symmetry_Int_Tables_number 187
_symmetry_space_group_name_Hall 'P -6 2'
_cell_length_a 7.3786
_cell_length_b 7.3786
_cell_length_c 3.9595
_cell_angle_alpha 90.00
_cell_angle_beta 90.00
_cell_angle_gamma 120.00
loop_
_atom_site_label
_atom_site_fract_x
_atom_site_fract_y
_atom_site_fract_z
Sr1 0.0000 0.0000 0.0000
Al1 0.3333 0.6667 0.0000
Al2 0.4068 0.2034 0.5000
Pd1 0.2011 0.4022 0.5000
Pd2 0.5330 0.0660 0.0000

Please write out number 4 again, unchanged.
# GGA-PBE SrAl4Pd6, optimized geometry
# Volume in A^3/atom: 16.97
# Fermi-level density of states in states/eV per cell: 2.8
# Spin magnetization in μB/f.u.: 0.00
# Energy relative to the elements in meV per atom: -821
data_SrAl4Pd6
_symmetry_space_group_name_H-M 'P -6 m 2'
_symmetry_Int_Tables_number 187
_symmetry_space_group_name_Hall 'P -6 2'
_cell_length_a 7.3786
_cell_length_b 7.3786
_cell_length_c 3.9595
_cell_angle_alpha 90.00
_cell_angle_beta 90.00
_cell_angle_gamma 120.00
loop_
_atom_site_label
_atom_site_fract_x
_atom_site_fract_y
_atom_site_fract_z
Sr1 0.0000 0.0000 0.0000
Al1 0.3333 0.6667 0.0000
Al2 0.4068 0.2034 0.5000
Pd1 0.2011 0.4022 0.5000
Pd2 0.5330 0.0660 0.0000

> Which value of Fermi-level density of states does entry 3 give?

7.7 states/eV per cell

> The lowest spin magnetization belongs to which entry?

SrAl4Pd6

~~~~~

1.
Material: LaHoCu3
Method: DFT, PBE-GGA
State: optimized geometry

Results
- VASP energy (eV/atom) = -4.59
- volume (A^3/atom) = 21.096

Cell and atoms, written as CIF:
```
data_LaHoCu3
_cell_length_a 3.792
_cell_length_b 4.365
_cell_length_c 12.884
_cell_angle_alpha 90.00
_cell_angle_beta 98.46
_cell_angle_gamma 90.00
_symmetry_space_group_name_H-M 'P 1'
_symmetry_Int_Tables_number 1
- - -

Set down all of the calculation results further up without altering anything, please.

# GGA-PBE Na3AcCu4Cl12, optimized geometry
# Volume in A^3/atom: 29.27
# Fermi-level density of states in states/eV per cell: 27.9
# Raw formation energy in meV/atom: -1196.4
# Spin magnetization in μB/f.u.: 2.10
data_Na3AcCu4Cl12
_symmetry_space_group_name_H-M 'R 3 2'
_symmetry_Int_Tables_number 155
_symmetry_space_group_name_Hall 'R 3 2"'
_cell_length_a 13.6287
_cell_length_b 13.6287
_cell_length_c 10.9167
_cell_angle_alpha 90.00
_cell_angle_beta 90.00
_cell_angle_gamma 120.00
loop_
_atom_site_label
_atom_site_fract_x
_atom_site_fract_y
_atom_site_fract_z
Na1 0.0000 0.5620 0.0000
Ac1 0.0000 0.0000 0.0000
Cu1 0.0000 0.0000 0.5000
Cu2 0.0000 0.4381 0.5000
Cl1 0.0000 0.5997 0.5000
Cl2 0.0000 0.8405 0.5000
Cl3 0.0350 0.1892 0.1632

# GGA-PBE Tb2EuFe, optimized geometry
# Volume in A^3/atom: 27.67
# Fermi-level density of states in states/eV per cell: 5.6
# Spin magnetization in μB/f.u.: 8.90
# Energy relative to the elements in meV per atom: 89
data_Tb2EuFe
_symmetry_space_group_name_H-M 'P 4/m m m'
_symmetry_Int_Tables_number 123
_symmetry_space_group_name_Hall '-P 4 2'
_cell_length_a 3.4665
_cell_length_b 3.4665
_cell_length_c 9.2110
_cell_angle_alpha 90.00
_cell_angle_beta 90.00
_cell_angle_gamma 90.00
loop_
_atom_site_label
_atom_site_fract_x
_atom_site_fract_y
_atom_site_fract_z
Tb1 0.0000 0.0000 0.1750
Eu1 0.5000 0.5000 0.5000
Fe1 0.5000 0.5000 0.0000

# GGA-PBE TlRhCl4, optimized geometry
# Volume in A^3/atom: 35.04
# Fermi-level density of states in states/eV per cell: 7.7
# Raw formation energy in meV/atom: -522.2
# Spin magnetization in μB/f.u.: 2.00
data_TlRhCl4
_symmetry_space_group_name_H-M 'I -4'
_symmetry_Int_Tables_number 82
_symmetry_space_group_name_Hall 'I -4'
_cell_length_a 7.5075
_cell_length_b 7.5075
_cell_length_c 7.4606
_cell_angle_alpha 90.00
_cell_angle_beta 90.00
_cell_angle_gamma 90.00
loop_
_atom_site_label
_atom_site_fract_x
_atom_site_fract_y
_atom_site_fract_z
Tl1 0.0000 0.0000 0.0000
Rh1 0.0000 0.5000 0.2500
Cl1 0.1890 0.2660 0.2939

# GGA-PBE SrAl4Pd6, optimized geometry
# Volume in A^3/atom: 16.97
# Fermi-level density of states in states/eV per cell: 2.8
# Spin magnetization in μB/f.u.: 0.00
# Energy relative to the elements in meV per atom: -821
data_SrAl4Pd6
_symmetry_space_group_name_H-M 'P -6 m 2'
_symmetry_Int_Tables_number 187
_symmetry_space_group_name_Hall 'P -6 2'
_cell_length_a 7.3786
_cell_length_b 7.3786
_cell_length_c 3.9595
_cell_angle_alpha 90.00
_cell_angle_beta 90.00
_cell_angle_gamma 120.00
loop_
_atom_site_label
_atom_site_fract_x
_atom_site_fract_y
_atom_site_fract_z
Sr1 0.0000 0.0000 0.0000
Al1 0.3333 0.6667 0.0000
Al2 0.4068 0.2034 0.5000
Pd1 0.2011 0.4022 0.5000
Pd2 0.5330 0.0660 0.0000

Please write out number 4 again, unchanged.
# GGA-PBE SrAl4Pd6, optimized geometry
# Volume in A^3/atom: 16.97
# Fermi-level density of states in states/eV per cell: 2.8
# Spin magnetization in μB/f.u.: 0.00
# Energy relative to the elements in meV per atom: -821
data_SrAl4Pd6
_symmetry_space_group_name_H-M 'P -6 m 2'
_symmetry_Int_Tables_number 187
_symmetry_space_group_name_Hall 'P -6 2'
_cell_length_a 7.3786
_cell_length_b 7.3786
_cell_length_c 3.9595
_cell_angle_alpha 90.00
_cell_angle_beta 90.00
_cell_angle_gamma 120.00
loop_
_atom_site_label
_atom_site_fract_x
_atom_site_fract_y
_atom_site_fract_z
Sr1 0.0000 0.0000 0.0000
Al1 0.3333 0.6667 0.0000
Al2 0.4068 0.2034 0.5000
Pd1 0.2011 0.4022 0.5000
Pd2 0.5330 0.0660 0.0000

> Which value of Fermi-level density of states does entry 3 give?

7.7 states/eV per cell

> The lowest spin magnetization belongs to which entry?

SrAl4Pd6

~~~~~

1.
Material: LaHoCu3
Method: DFT, PBE-GGA
State: optimized geometry

Results
- VASP energy (eV/atom) = -4.59
- volume (A^3/atom) = 21.096

Cell and atoms, written as CIF:
```
data_LaHoCu3
_cell_length_a 3.792
_cell_length_b 4.365
_cell_length_c 12.884
_cell_angle_alpha 90.00
_cell_angle_beta 98.46
_cell_angle_gamma 90.00
_symmetry_space_group_name_H-M 'P 1'
_symmetry_Int_Tables_number 1